Starting SL TODAY! Warm-up question

I'm finally 'going for it' and going to the gym over lunch (when it's almost empty :wink: ) to do Workout A. But I've yet to completely understand what I should to for warm up.

I've been lifting a little here and there, some machines, some bars, some dumbells, so I'm not a complete weakling; and I intend to just start with the empty bar for my workout. Therefore.... how should I warm up? I know I can just do body squats to warmup for squats, but what should I do for bench press and rows?

does everybody do 4 warmup sets as Mehndi suggests?


  • Fittreelol
    Fittreelol Posts: 2,535 Member
    Agile 8, simple 6. They work miracles! Ofc you won't know that if you don't start doing them 6 months into lifting. Be thankful! ;) When I started with the empty bar I would use either body weight or light dumbbells for 1-2 sets.
  • thingo
    thingo Posts: 6 Member
    I wouldn't over think it. Mehdi goes in to great detail about what to do for warmup but I was a bit confused.

    For warmup, I personally:
    - 2-3 mins of movement/cardio just to get warm and supple (this could be skip, row, jog)
    - stretch (air squats, couch stretch, hammy stretch, shoulder stretch and mobility, wrists - depending on what movement I'm about to do). So for bench and rows, I'd do shoulder stretches, wrists, shoulder dislocates and figure 8s with PVC pipe or broomstick
    - then a few sets with the empty bar and some weight which is halfway towards working weight

    Stretch and warmup as much as you feel you need. Remember that the purpose of it is to give yourself the best possible start to finishing the sets successfully (i.e. unbroken) and without hurting yourself, but without tiring yourself out too much.

/*
(1)
Starting from a DFT-relaxed cell (PBE+U, the Materials Project), the powder X-ray diffraction pattern of Li2TiCr3O8 was computed for a wavelength of 1.5418 Å.
Kinematic intensities with the Lorentz-polarization factor, no thermal factor.

Largest 12 diffraction maxima, in order of rising 2θ, 2θ from 10° to 80°:
index	2θ (°)	I/Imax
0 0 1	17.9	100
4 0 -1	35.1	10
2 2 -1	35.7	22
4 0 0	42.1	20
2 2 -2	43.2	38
2 2 1	46.5	5
4 0 1	55.2	5
2 2 -3	56.6	9
2 2 2	61.2	10
6 2 -2	62.5	11
0 4 0	63.1	5
6 2 -1	65.1	5

Atomic structure:
```
data_Li2TiCr3O8
_chemical_formula_sum 'Li4 Ti2 Cr6 O16'
_space_group_name_H-M_alt 'C 1 2/m 1'
_space_group_IT_number 12
_cell_length_a 10.329
_cell_length_b 5.891
_cell_length_c 5.968
_cell_angle_alpha 90.00
_cell_angle_beta 123.73
_cell_angle_gamma 90.00
loop_
_space_group_symop_operation_xyz
'x,y,z'
'-x,-y,-z'
'-x,y,-z'
'x,-y,z'
'x+1/2,y+1/2,z'
'-x+1/2,-y+1/2,-z'
'-x+1/2,y+1/2,-z'
'x+1/2,-y+1/2,z'
loop_
_atom_site_label
_atom_site_type_symbol
_atom_site_fract_x
_atom_site_fract_y
_atom_site_fract_z
_atom_site_occupancy
Li1 Li 0.250 0.250 0.000 1
Ti1 Ti 0.000 0.000 0.500 1
Cr1 Cr 0.000 0.500 0.500 1
Cr2 Cr 0.250 0.250 0.500 1
O1 O 0.012 0.255 0.296 1
O2 O 0.228 0.000 0.712 1
O3 O 0.230 0.500 0.712 1
```

---

(2)
Starting from a DFT-relaxed cell (PBE+U, the Materials Project), the powder X-ray diffraction pattern of LiVO3 was computed for a wavelength of 1.5418 Å.
Kinematic intensities with the Lorentz-polarization factor, no thermal factor.

Largest 12 diffraction maxima, in order of rising 2θ, 2θ from 10° to 80°:
index	2θ (°)	I/Imax
2 0 0	18.3	100
0 2 0	20.6	16
0 2 1	26.2	97
3 1 -1	28.3	16
2 2 -1	28.4	95
3 1 0	29.5	35
2 0 -2	30.8	33
0 0 2	32.4	56
3 1 1	38.4	15
2 4 -1	46.5	16
2 2 -3	50.7	22
5 3 -1	54.3	17

Atomic structure:
```
data_LiVO3
_chemical_formula_sum 'Li8 V8 O24'
_space_group_name_H-M_alt 'C 1 2/c 1'
_space_group_IT_number 15
_cell_length_a 10.439
_cell_length_b 8.631
_cell_length_c 5.944
_cell_angle_alpha 90.00
_cell_angle_beta 111.49
_cell_angle_gamma 90.00
loop_
_space_group_symop_operation_xyz
'x,y,z'
'-x,-y,-z'
'-x,y,-z+1/2'
'x,-y,z+1/2'
'x+1/2,y+1/2,z'
'-x+1/2,-y+1/2,-z'
'-x+1/2,y+1/2,-z+1/2'
'x+1/2,-y+1/2,z+1/2'
loop_
_atom_site_label
_atom_site_type_symbol
_atom_site_fract_x
_atom_site_fract_y
_atom_site_fract_z
_atom_site_occupancy
Li1 Li 0.000 0.082 0.250 1
Li2 Li 0.000 0.272 0.750 1
V1 V 0.213 0.406 0.229 1
O1 O 0.113 0.108 0.666 1
O2 O 0.144 0.231 0.215 1
O3 O 0.147 0.468 0.914 1
```

---

(3)
Starting from a DFT-relaxed cell (PBE+U, the Materials Project), the powder X-ray diffraction pattern of Na3NiO2 was computed for a wavelength of 1.5418 Å.
Kinematic intensities with the Lorentz-polarization factor, no thermal factor.

Largest 12 diffraction maxima, in order of rising 2θ, 2θ from 10° to 80°:
index	2θ (°)	I/Imax
1 0 2	21.7	50
1 1 0	22.7	16
1 1 2	27.1	13
0 0 4	29.3	15
2 0 0	32.3	41
1 1 4	37.4	100
2 1 2	39.3	17
2 2 0	46.3	34
3 1 4	61.0	34
3 2 2	62.3	9
2 0 8	70.6	9
2 2 8	79.8	10

Atomic structure:
*/

    @Fittreelol What do you mean by "Agile 8, simple 6"?
  • christinemac17
    christinemac17 Posts: 56 Member
    thanks for the tips! @fittreelol -- I did check out the Agile 8 and Simple 6 --- really good stretching, thanks!
  • arsarapin
    arsarapin Posts: 2 Member
    I bookmark this website on my phone. It can be helpful when you start loading those plates.
  • hananah89
    hananah89 Posts: 692 Member
    I either get on a cardio machine for 5 minutes or just do some jumping jacks to get the blood flowing. Then do some light stretching just to get into my flexibility. I do SLs at 6am so both my mind and body are still asleep and need to get woken up.
  • christinemac17
    christinemac17 Posts: 56 Member
    I bookmark this website on my phone. It can be helpful when you start loading those plates.

    AWESOME site! Thank you -- just what I was looking for :)
  • kiykiy79
    kiykiy79 Posts: 177 Member
    I do 2 warmup sets at 50% and 75% of what my 5x5 lifts are... Sometimes (rarely) I do 5 minutes of cardio just to get the blood flowing especially if the gym is freezing. Good luck! Grrrrrrrr!!!!!
  • christinemac17
    christinemac17 Posts: 56 Member
    Thanks! this actually answered the question that popped into my mind when looking at that warmup site: Does everyone actually do 4 warm up sets??

    Today was my second day, WO B; went very well. Without thinking, I went into a second set of DLs, but my App stopped me from doing more, lol.